### Entries
+++
The following is a calculated XRD peak list of Tb2Nd8Zn. It was derived from a structure optimized by DFT (PBE), using a wavelength of 1.5418 Å.

Largest 10 diffraction maxima, by intensity, 10 to 90 degrees two-theta:
two_theta, Rel. int., index
31.61, 100, 5 1 1
31.42, 33, 0 2 0
56.05, 20, 5 3 1
30.15, 19, 6 0 -1
30.48, 16, 5 1 -1
44.10, 13, 6 2 -1
57.20, 9, 4 2 3
46.51, 8, 4 0 3
76.81, 7, 9 1 4
66.01, 6, 10 2 2

Crystal structure
Lattice parameters (Å, degrees): 19.433 5.696 6.562 90.00 93.10 90.00
Space group C2/m (No. 12)
Symmetry-distinct sites (fractional):
Tb 0.237 0.000 0.334 (multiplicity 4)
Nd 0.040 0.000 0.251 (multiplicity 4)
Nd 0.080 0.500 0.607 (multiplicity 4)
Nd 0.156 0.500 0.120 (multiplicity 4)
Nd 0.157 0.000 0.808 (multiplicity 4)
Zn 0.000 0.500 0.000 (multiplicity 2)


Structure and calculated X-ray diffraction stick pattern of Ce2HoReN5 (a crystal structure in Alexandria, relaxed with GGA-PBE; Cu Kα, 1.54184 Å).
Kinematic intensities with the Lorentz-polarization factor, no thermal factor.

Largest 10 diffraction maxima, in order of falling intensity, 2θ from 10° to 90°:
Position (°2θ)  I/Imax  hkl
31.28  100.0  2 0 2
30.87  30.5  0 0 4
38.46  22.6  2 1 3
38.70  19.6  2 2 0
50.30  17.4  2 2 4
55.14  17.3  2 0 6
58.33  16.2  4 0 2
71.98  10.3  4 2 4
41.84  9.6  2 2 2
63.19  8.3  4 2 0

Cell and atoms:
Cell lengths 6.5802, 6.5802, 11.5881 Å; angles 90.00, 90.00, 90.00 degrees
Space group I4/mcm (No. 140)
Asymmetric unit:
Ce (0.1720, 0.3280, 0.0000)
Ho (0.0000, 0.0000, 0.2500)
Re (0.0000, 0.5000, 0.2500)
N (0.0000, 0.0000, 0.0000)
N (0.1547, 0.3453, 0.3545)


Record 1
Starting from a crystal structure in Alexandria, relaxed with PBE, the XRD peak list of PtSe2 was computed for Cu Kα.
Kinematic intensities with the Lorentz-polarization factor, no thermal factor.

Lattice parameters (Å, degrees): 11.3737 3.7919 6.1244 90.00 90.00 90.00
Space group Pnma (No. 62)
Unique sites:
Pt 0.1374 0.2500 0.0834 (multiplicity 4)
Se 0.0093 0.7500 0.2289 (multiplicity 4)
Se 0.2294 0.2500 0.4643 (multiplicity 4)

Peak list (10 most intense, 10 to 90 degrees two-theta, in order of rising 2θ)
(hkl), 2theta, d [Å], I/Imax
1 0 1, 16.44, 5.392, 100
2 0 1, 21.32, 4.167, 56
2 1 0, 28.29, 3.155, 95
2 1 1, 31.91, 2.805, 43
2 0 2, 33.23, 2.696, 40
3 1 1, 36.59, 2.456, 59
4 1 1, 42.39, 2.132, 45
0 2 0, 47.99, 1.896, 37
5 1 1, 49.01, 1.859, 50
0 1 3, 50.79, 1.798, 47


Record 2
Starting from a crystal structure in Alexandria, relaxed with PBE, the XRD peak list of Sm4PtSe3 was computed for Cu Kα.
Kinematic intensities with the Lorentz-polarization factor, no thermal factor.

Lattice parameters (Å, degrees): 8.4878 11.9263 4.1164 90.00 90.00 90.00
Space group Cmmm (No. 65)
Unique sites:
Sm 0.0000 0.2474 0.0000 (multiplicity 4)
Sm 0.2360 0.0000 0.5000 (multiplicity 4)
Pt 0.0000 0.0000 0.0000 (multiplicity 2)
Se 0.0000 0.5000 0.0000 (multiplicity 2)
Se 0.2500 0.2500 0.5000 (multiplicity 4)

Peak list (10 most intense, 10 to 90 degrees two-theta, in order of rising 2θ)
(hkl), 2theta, d [Å], I/Imax
0 4 0, 29.97, 2.982, 52
2 0 1, 30.25, 2.955, 100
4 0 0, 42.61, 2.122, 19
2 4 1, 43.10, 2.099, 76
0 0 2, 43.99, 2.058, 18
4 4 0, 52.96, 1.729, 20
0 4 2, 54.15, 1.694, 20
2 8 1, 70.79, 1.331, 17
4 4 2, 71.23, 1.324, 17
4 8 0, 78.36, 1.220, 19


Record 3
Starting from a crystal structure in Alexandria, relaxed with PBE, the XRD peak list of TePtSe was computed for Cu Kα.
Kinematic intensities with the Lorentz-polarization factor, no thermal factor.

Lattice parameters (Å, degrees): 3.9526 3.9526 5.1903 90.00 90.00 120.00
Space group P3m1 (No. 156)
Unique sites:
Te 0.0000 0.0000 0.0000 (multiplicity 1)
Pt 0.6667 0.3333 0.2684 (multiplicity 1)
Se 0.3333 0.6667 0.5120 (multiplicity 1)

Peak list (10 most intense, 10 to 90 degrees two-theta, in order of rising 2θ)
(hkl), 2theta, d [Å], I/Imax
0 0 1, 17.08, 5.190, 35
1 0 1, 31.30, 2.858, 100
0 1 2, 43.77, 2.068, 49
1 1 0, 45.92, 1.976, 39
1 1 1, 49.34, 1.847, 14
0 2 1, 56.63, 1.625, 19
+++

### Wanted
Copy every line further up that contains the word "Starting", please.

### Done
Starting from a crystal structure in Alexandria, relaxed with PBE, the XRD peak list of PtSe2 was computed for Cu Kα.
Starting from a crystal structure in Alexandria, relaxed with PBE, the XRD peak list of Sm4PtSe3 was computed for Cu Kα.
Starting from a crystal structure in Alexandria, relaxed with PBE, the XRD peak list of TePtSe was computed for Cu Kα.